It remains to start at the top of the data further down and repeat each line, ending with the one that has "Results".

<<<
First-principles (meta-GGA SCAN) data for a PBEsol-optimized structure of BaNiSbI2, as listed in Alexandria via LeMat-Bulk.

Formation energy without anion corrections   -0.556 eV per atom
Size of the total moment   0.0 μB/cell
Fermi-level density of states   4.42 states/eV per cell

Unit cell a=5.377 b=5.377 c=5.071 alpha=90.00 beta=90.00 gamma=90.00
Space group P4/mmm (No. 123)
Asymmetric unit:
Ba 0.000 0.000 0.000 [1 per cell]
Ni 0.500 0.500 0.500 [1 per cell]
Sb 0.500 0.500 0.000 [1 per cell]
I 0.000 0.500 0.500 [2 per cell]

----------

A relaxed structure of KCa9CoP7O28. Source: Alexandria via LeMat-Bulk, functional GGA+U.

```
92
Lattice="-9.0487 0.3214 -5.3405 -5.9962 -8.6055 -0.7041 -11.0144 0.5709 8.3509" Properties=species:S:1:pos:R:3 pbc="T T T"
O -13.5452 -7.2364 1.6186
P -9.9440 -2.3656 -3.5081
Ca -9.5851 -0.0525 1.6572
P -15.5686 -1.7369 0.4891
O -20.9109 -5.6084 1.1511
P -6.8654 -1.7336 1.1823
O -15.1763 -6.9569 -0.9712
O -6.0896 -5.0844 -1.4449
O -11.3483 -5.0495 0.9677
Ca -21.4487 -7.3193 4.5815
O -14.1454 -4.9746 2.6798
Ca -19.2314 -2.1498 1.5337
P -13.1290 -6.3226 -4.0794
O -13.7839 -0.7079 5.2805
O -12.5789 -2.8193 6.2075
O -10.0285 -2.4526 2.1162
P -17.3009 -0.8363 3.8563
O -14.7026 -4.7419 6.0455
O -15.4533 -4.7343 -2.2952
O -16.1536 -6.8167 6.2092
O -11.4219 -2.7899 -3.3297
O -7.6147 -1.3174 2.4769
Ca -12.2991 -6.8951 -0.3833
O -12.5681 -0.4983 -1.5379
O -15.9254 -0.2185 3.4346
Ca -6.9710 -5.4853 0.7520
O -17.0522 -2.1446 0.6588
O -11.1064 -0.8020 3.6685
Co -13.0708 -3.8337 1.2242
P -19.8951 -5.5902 2.3355
Ca -9.7853 -3.4362 -0.0403
O -9.0427 -2.7739 -2.3089
Ca -13.6691 -0.7483 2.8072
Ca -22.4513 -3.6744 2.8296
P -14.3424 -6.5288 2.7392
O -12.4044 -2.8574 3.0068
O -12.5839 -6.8023 -2.7124
O -15.8470 -6.8516 2.5184
O -10.2462 -1.0068 -0.4797
P -15.1917 -5.4102 -0.9073
O -6.5561 -0.9128 -3.0559
O -2.9366 -1.9884 -0.6153
O -20.3997 -2.4939 3.5815
O -20.6444 -5.1740 3.6300
O -15.3278 -0.2136 0.6851
O -7.4155 -3.1136 0.7052
P -10.9729 -2.3071 3.3323
Ca -13.4602 -3.2071 -2.2409
Ca -12.6743 -4.6267 4.6297
O -15.1258 -2.0971 -0.9483
O -13.7579 -4.9137 -0.4706
P -10.5152 -5.9408 1.9699
O -11.7253 -0.5370 6.7536
Ca -8.1722 -3.4714 3.5740
O -14.7279 -2.5222 1.5543
O -10.3685 -3.1414 4.4965
O -13.8085 -7.0246 4.1049
O -7.1126 -0.6488 0.0882
O -10.5795 -7.3894 1.3792
O -13.3362 -4.7834 -4.1479
O -10.1652 -7.6476 -1.3919
O -12.1212 -2.6405 -0.2541
O -16.2941 -4.8863 0.0400
P -13.0503 -1.3517 6.4821
O -18.3477 -0.2516 2.8290
O -9.0768 -5.3741 2.0502
P -16.1573 -5.2608 5.9404
K -5.3569 -2.5714 -1.4241
O -16.7739 -5.0943 4.5109
P -8.8117 -6.8829 -1.4006
O -9.9052 -0.8058 -3.6608
O -12.1514 -0.3700 0.9859
O -8.9622 -5.3772 -1.0744
O -18.7619 -4.5545 2.0561
O -14.5071 -7.0290 -4.3238
Ca -5.9649 0.0594 3.7166
O -7.8662 -7.5176 -0.3231
Ca -18.9113 -4.0406 4.9962
K -18.3866 -6.4280 -0.2709
Ca -17.5082 -7.4813 4.2449
Ca -3.2525 -0.6419 1.3472
Ca -8.4711 -0.1297 -1.8378
O -11.1810 -6.0150 3.3621
O -23.1186 -6.1326 3.1776
Ca -16.3954 -4.1676 2.3285
P -11.8024 -1.0961 -0.3325
O -17.3338 -2.3813 3.7638
O -5.3410 -1.8421 1.4972
Co -15.0861 -8.2612 -5.9736
O -19.2854 -7.0114 2.5429
O -19.2253 -6.4454 5.5314
Ca -22.8492 -7.1930 1.0610
```

Output
Total energy   -0.5236 Ry per atom
Crystal system   trigonal
Calculated density   3.136 g/cm³
Fermi-level density of states   14.51 states/eV per cell
V   1189.7 Å³ per cell
SG   R3c, No. 161

----------

Density functional theory data (GGA-PBEsol) for crystalline NaAlRe2F at its relaxed geometry.

Unit cell a=4.0790 b=4.0790 c=4.7388 alpha=90.00 beta=90.00 gamma=90.00
Fractional positions:
Na  0.5000  0.5000  0.5000
Re  0.5000  0.0000  0.0000
Re  0.0000  0.5000  0.0000
F  0.0000  0.0000  0.0000
Al  0.0000  0.0000  0.5000

Results
Raw formation energy = 1.1005 eV per atom
M_tot = 0.000 Bohr magnetons per cell
SG = P4/mmm (123)

Density functional theory data (GGA-PBEsol) for crystalline Nb2Al2F at its relaxed geometry.
>>>

First-principles (meta-GGA SCAN) data for a PBEsol-optimized structure of BaNiSbI2, as listed in Alexandria via LeMat-Bulk.

Formation energy without anion corrections   -0.556 eV per atom
Size of the total moment   0.0 μB/cell
Fermi-level density of states   4.42 states/eV per cell

Unit cell a=5.377 b=5.377 c=5.071 alpha=90.00 beta=90.00 gamma=90.00
Space group P4/mmm (No. 123)
Asymmetric unit:
Ba 0.000 0.000 0.000 [1 per cell]
Ni 0.500 0.500 0.500 [1 per cell]
Sb 0.500 0.500 0.000 [1 per cell]
I 0.000 0.500 0.500 [2 per cell]

----------

A relaxed structure of KCa9CoP7O28. Source: Alexandria via LeMat-Bulk, functional GGA+U.

```
92
Lattice="-9.0487 0.3214 -5.3405 -5.9962 -8.6055 -0.7041 -11.0144 0.5709 8.3509" Properties=species:S:1:pos:R:3 pbc="T T T"
O -13.5452 -7.2364 1.6186
P -9.9440 -2.3656 -3.5081
Ca -9.5851 -0.0525 1.6572
P -15.5686 -1.7369 0.4891
O -20.9109 -5.6084 1.1511
P -6.8654 -1.7336 1.1823
O -15.1763 -6.9569 -0.9712
O -6.0896 -5.0844 -1.4449
O -11.3483 -5.0495 0.9677
Ca -21.4487 -7.3193 4.5815
O -14.1454 -4.9746 2.6798
Ca -19.2314 -2.1498 1.5337
P -13.1290 -6.3226 -4.0794
O -13.7839 -0.7079 5.2805
O -12.5789 -2.8193 6.2075
O -10.0285 -2.4526 2.1162
P -17.3009 -0.8363 3.8563
O -14.7026 -4.7419 6.0455
O -15.4533 -4.7343 -2.2952
O -16.1536 -6.8167 6.2092
O -11.4219 -2.7899 -3.3297
O -7.6147 -1.3174 2.4769
Ca -12.2991 -6.8951 -0.3833
O -12.5681 -0.4983 -1.5379
O -15.9254 -0.2185 3.4346
Ca -6.9710 -5.4853 0.7520
O -17.0522 -2.1446 0.6588
O -11.1064 -0.8020 3.6685
Co -13.0708 -3.8337 1.2242
P -19.8951 -5.5902 2.3355
Ca -9.7853 -3.4362 -0.0403
O -9.0427 -2.7739 -2.3089
Ca -13.6691 -0.7483 2.8072
Ca -22.4513 -3.6744 2.8296
P -14.3424 -6.5288 2.7392
O -12.4044 -2.8574 3.0068
O -12.5839 -6.8023 -2.7124
O -15.8470 -6.8516 2.5184
O -10.2462 -1.0068 -0.4797
P -15.1917 -5.4102 -0.9073
O -6.5561 -0.9128 -3.0559
O -2.9366 -1.9884 -0.6153
O -20.3997 -2.4939 3.5815
O -20.6444 -5.1740 3.6300
O -15.3278 -0.2136 0.6851
O -7.4155 -3.1136 0.7052
P -10.9729 -2.3071 3.3323
Ca -13.4602 -3.2071 -2.2409
Ca -12.6743 -4.6267 4.6297
O -15.1258 -2.0971 -0.9483
O -13.7579 -4.9137 -0.4706
P -10.5152 -5.9408 1.9699
O -11.7253 -0.5370 6.7536
Ca -8.1722 -3.4714 3.5740
O -14.7279 -2.5222 1.5543
O -10.3685 -3.1414 4.4965
O -13.8085 -7.0246 4.1049
O -7.1126 -0.6488 0.0882
O -10.5795 -7.3894 1.3792
O -13.3362 -4.7834 -4.1479
O -10.1652 -7.6476 -1.3919
O -12.1212 -2.6405 -0.2541
O -16.2941 -4.8863 0.0400
P -13.0503 -1.3517 6.4821
O -18.3477 -0.2516 2.8290
O -9.0768 -5.3741 2.0502
P -16.1573 -5.2608 5.9404
K -5.3569 -2.5714 -1.4241
O -16.7739 -5.0943 4.5109
P -8.8117 -6.8829 -1.4006
O -9.9052 -0.8058 -3.6608
O -12.1514 -0.3700 0.9859
O -8.9622 -5.3772 -1.0744
O -18.7619 -4.5545 2.0561
O -14.5071 -7.0290 -4.3238
Ca -5.9649 0.0594 3.7166
O -7.8662 -7.5176 -0.3231
Ca -18.9113 -4.0406 4.9962
K -18.3866 -6.4280 -0.2709
Ca -17.5082 -7.4813 4.2449
Ca -3.2525 -0.6419 1.3472
Ca -8.4711 -0.1297 -1.8378
O -11.1810 -6.0150 3.3621
O -23.1186 -6.1326 3.1776
Ca -16.3954 -4.1676 2.3285
P -11.8024 -1.0961 -0.3325
O -17.3338 -2.3813 3.7638
O -5.3410 -1.8421 1.4972
Co -15.0861 -8.2612 -5.9736
O -19.2854 -7.0114 2.5429
O -19.2253 -6.4454 5.5314
Ca -22.8492 -7.1930 1.0610
```

Output
Total energy   -0.5236 Ry per atom
Crystal system   trigonal
Calculated density   3.136 g/cm³
Fermi-level density of states   14.51 states/eV per cell
V   1189.7 Å³ per cell
SG   R3c, No. 161

----------

Density functional theory data (GGA-PBEsol) for crystalline NaAlRe2F at its relaxed geometry.

Unit cell a=4.0790 b=4.0790 c=4.7388 alpha=90.00 beta=90.00 gamma=90.00
Fractional positions:
Na  0.5000  0.5000  0.5000
Re  0.5000  0.0000  0.0000
Re  0.0000  0.5000  0.0000
F  0.0000  0.0000  0.0000
Al  0.0000  0.0000  0.5000

Results